More Media War On Food: Papa John’s CEO Roasted for Obamacare Comments
The media doesn’t like food much these days. Papa John’s Pizza founder John Schnatter is the latest individual in the food industry to draw fire from the left; in his case the he made the mistake of discussing the economic effects of Obamacare on his company. Outlets from the Colbert Report to the Boston Globe savaged Schnatter for having the effrontery of publicly explaining basic economics.
Next to the text, the page also holds materials data >
/*
Material: KV2PO11
Method: DFT, GGA+U
State: relaxed

Unit cell a=7.1393 b=9.8391 c=12.5669 alpha=90.00 beta=90.00 gamma=90.00
With the nearest neighbours (Å) after each atom.
Sites, in units of the cell vectors:
K (0.2247, 0.2185, 0.2703)  5 O 2.72-3.04
K (0.2753, 0.7815, 0.7703)  5 O 2.72-3.04
K (0.7247, 0.2815, 0.7297)  5 O 2.72-3.04
K (0.7753, 0.7185, 0.2297)  5 O 2.72-3.04
V (0.0238, 0.7832, 0.4919)  2 O 1.68-1.75
V (0.2090, 0.4464, 0.5903)  1 O 1.64
V (0.2910, 0.5536, 0.0903)  1 O 1.64
V (0.4762, 0.2168, 0.9919)  2 O 1.68-1.75
V (0.5238, 0.7168, 0.5081)  2 O 1.68-1.75
V (0.7090, 0.0536, 0.4097)  1 O 1.64
V (0.7910, 0.9464, 0.9097)  1 O 1.64
V (0.9762, 0.2832, 0.0081)  2 O 1.68-1.75
P (0.2449, 0.5670, 0.3548)  4 O 1.53-1.56
P (0.2551, 0.4330, 0.8548)  4 O 1.53-1.56
P (0.7449, 0.9330, 0.6452)  4 O 1.53-1.56
P (0.7551, 0.0670, 0.1452)  4 O 1.53-1.56
O (0.0168, 0.3573, 0.6039)  1 V 1.64
O (0.0415, 0.4226, 0.0765)  1 V 1.68
O (0.0693, 0.3530, 0.8730)  1 P 1.56
O (0.0760, 0.6660, 0.3678)  1 P 1.56
O (0.0877, 0.6150, 0.5810)  2 V 1.88-2.05
O (0.1146, 0.6964, 0.1031)  1 O 1.62
O (0.2139, 0.8445, 0.1028)  1 O 1.25
O (0.2194, 0.8977, 0.1927)  1 O 1.25
O (0.2300, 0.4458, 0.4339)  1 P 1.56
O (0.2372, 0.1945, 0.0190)  1 V 1.75
O (0.2445, 0.5054, 0.2429)  1 P 1.53
O (0.2555, 0.4946, 0.7429)  1 P 1.53
O (0.2628, 0.8055, 0.5190)  1 V 1.75
O (0.2700, 0.5542, 0.9339)  1 P 1.56
O (0.2806, 0.1023, 0.6927)  1 O 1.25
O (0.2861, 0.1555, 0.6028)  1 O 1.25
O (0.3854, 0.3036, 0.6031)  1 O 1.62
O (0.4123, 0.3850, 0.0810)  2 V 1.88-2.05
O (0.4240, 0.3340, 0.8678)  1 P 1.56
O (0.4307, 0.6470, 0.3730)  1 P 1.56
O (0.4585, 0.5774, 0.5765)  1 V 1.68
O (0.4832, 0.6427, 0.1039)  1 V 1.64
O (0.5168, 0.1427, 0.3961)  1 V 1.64
O (0.5415, 0.0774, 0.9235)  1 V 1.68
O (0.5693, 0.1470, 0.1270)  1 P 1.56
O (0.5760, 0.8340, 0.6322)  1 P 1.56
O (0.5877, 0.8850, 0.4190)  2 V 1.88-2.05
O (0.6146, 0.8036, 0.8969)  1 O 1.62
O (0.7139, 0.6555, 0.8972)  1 O 1.25
O (0.7194, 0.6023, 0.8073)  1 O 1.25
O (0.7300, 0.0542, 0.5661)  1 P 1.56
O (0.7372, 0.3055, 0.9810)  1 V 1.75
O (0.7445, 0.9946, 0.7571)  1 P 1.53
O (0.7555, 0.0054, 0.2571)  1 P 1.53
O (0.7628, 0.6945, 0.4810)  1 V 1.75
O (0.7700, 0.9458, 0.0661)  1 P 1.56
O (0.7806, 0.3977, 0.3073)  1 O 1.25
O (0.7861, 0.3445, 0.3972)  1 O 1.25
O (0.8854, 0.1964, 0.3969)  1 O 1.62
O (0.9123, 0.1150, 0.9190)  2 V 1.88-2.05
O (0.9240, 0.1660, 0.1322)  1 P 1.56
O (0.9307, 0.8530, 0.6270)  1 P 1.56
O (0.9585, 0.9226, 0.4235)  1 V 1.68
O (0.9832, 0.8573, 0.8961)  1 V 1.64

Results
Its calculated total energy is -97.41 eV per formula unit. The space group is P2_12_12_1 (19). The calculation puts the energy with MP2020 corrections at -6.84 eV/atom. For the formation energy, the calculation gives -1.56 eV per atom.

----------

Below is a relaxed YbFe4P12 crystal, with properties calculated at the meta-GGA r2SCAN level.

Structure (extended XYZ):
```
17
*/
In a conference call with shareholders last week, Schnatter (who is a Romney supporter) said : “Our best estimate is that Obamacare will cost 11 to 14 cents per pizza, or 15 to 20 cents an order from a corporate basis.” He also assured listeners that, “If Obamacare is in fact not repealed, we will find tactics to shallow out any Obamacare costs and core strategies to pass that cost onto consumers in order to protect our shareholders best interests.”
The left had a collective screaming session over his comments. Colbert slammed the quality of Papa John’s Pizza: “People will not pay another cent because when you order a Papa John’s pizza, it’s only after you’ve reached a state of such desperate gnawing hunger that you’d eat the ass off a raccoon that drowned in your bird bath, and, even then, only after making absolutely sure that you’re all out of drowned raccoon ass. And now Obama expects you to shell out almost three extra nickels for this hot turd pie? F*** that! Eat the nickels, you have your dignity.”
Colbert continued: “I believe every human being has a fundamental right to affordable health care. But at what price? There has to be a line we do not cross. And it’s 14 cents. Because if we just sit idly by while everyone gets access to a doctor, today it’s just 14 cents more a pizza, tomorrow it could be three cents more a taco. And I would rather be dead.”
What comes next are crystal structures, not part of the page:
____________
Entry 1:
# LiMn2B2O6

A geometry-optimized LiMn2B2O6 structure (PBE+U, the Materials Project).

```
data_LiMn2B2O6
_space_group_name_H-M_alt 'P 1'
_space_group_IT_number 1
_cell_length_a 5.292
_cell_length_b 11.562
_cell_length_c 13.764
_cell_angle_alpha 113.49
_cell_angle_beta 91.35
_cell_angle_gamma 101.22
loop_
_space_group_symop_operation_xyz
'x,y,z'
loop_
_atom_site_label
_atom_site_type_symbol
_atom_site_fract_x
_atom_site_fract_y
_atom_site_fract_z
Li1 Li 0.000 0.000 0.000
Li2 Li 0.026 0.494 0.241
Li3 Li 0.152 0.326 0.824
Li4 Li 0.319 0.675 0.663
Li5 Li 0.786 0.657 0.160
Li6 Li 0.856 0.161 0.419
Mn1 Mn 0.018 0.088 0.619
Mn2 Mn 0.066 0.202 0.238
Mn3 Mn 0.078 0.580 0.857
Mn4 Mn 0.118 0.689 0.474
Mn5 Mn 0.335 0.753 0.279
Mn6 Mn 0.415 0.851 0.882
Mn7 Mn 0.422 0.251 0.538
Mn8 Mn 0.473 0.352 0.150
Mn9 Mn 0.699 0.431 0.963
Mn10 Mn 0.731 0.525 0.556
Mn11 Mn 0.744 0.924 0.209
Mn12 Mn 0.803 0.043 0.820
B1 B 0.161 0.425 0.463
B2 B 0.223 0.525 0.062
B3 B 0.241 0.917 0.703
B4 B 0.306 0.031 0.315
B5 B 0.500 0.067 0.111
B6 B 0.571 0.211 0.740
B7 B 0.574 0.577 0.368
B8 B 0.631 0.689 0.980
B9 B 0.846 0.752 0.780
B10 B 0.892 0.862 0.396
B11 B 0.921 0.259 0.048
B12 B 0.976 0.348 0.639
O1 O 0.013 0.225 0.567
O2 O 0.056 0.055 0.303
O3 O 0.057 0.987 0.701
O4 O 0.064 0.321 0.150
O5 O 0.087 0.796 0.399
O6 O 0.089 0.723 0.791
O7 O 0.091 0.465 0.959
O8 O 0.108 0.597 0.147
O9 O 0.109 0.550 0.526
O10 O 0.118 0.416 0.733
O11 O 0.270 0.811 0.618
O12 O 0.333 0.606 0.355
O13 O 0.347 0.981 0.021
O14 O 0.359 0.916 0.242
O15 O 0.389 0.408 0.500
O16 O 0.396 0.957 0.801
O17 O 0.416 0.157 0.642
O18 O 0.430 0.715 0.930
O19 O 0.431 0.180 0.177
O20 O 0.471 0.508 0.078
O21 O 0.484 0.119 0.395
O22 O 0.491 0.293 0.829
O23 O 0.667 0.670 0.698
O24 O 0.684 0.507 0.282
O25 O 0.706 0.629 0.472
O26 O 0.711 0.574 0.919
O27 O 0.723 0.318 0.033
O28 O 0.740 0.763 0.081
O29 O 0.744 0.044 0.140
O30 O 0.752 0.814 0.292
O31 O 0.777 0.388 0.600
O32 O 0.800 0.867 0.859
O33 O 0.811 0.177 0.745
O34 O 0.841 0.960 0.479
O35 O 0.962 0.149 0.974
O36 O 0.996 0.333 0.383
```

Properties
Calculated volume ... 125 Å³/f.u.
Crystal system ... triclinic
Total DFT energy (no corrections) ... -7.4989 eV per atom

Entry 2:
# LiMn2B2O6

A geometry-optimized LiMn2B2O6 structure (PBE+U, the Materials Project).

```
data_LiMn2B2O6
_space_group_name_H-M_alt 'P 1'
_space_group_IT_number 1
_cell_length_a 5.321
_cell_length_b 5.780
_cell_length_c 9.074
_cell_angle_alpha 102.37
_cell_angle_beta 90.80
_cell_angle_gamma 113.64
loop_
_space_group_symop_operation_xyz
'x,y,z'
loop_
_atom_site_label
_atom_site_type_symbol
_atom_site_fract_x
_atom_site_fract_y
_atom_site_fract_z
Li1 Li 0.000 0.000 0.000
Li2 Li 0.373 0.337 0.561
Mn1 Mn 0.414 0.418 0.217
Mn2 Mn 0.479 0.933 0.831
Mn3 Mn 0.912 0.425 0.737
Mn4 Mn 0.980 0.915 0.341
B1 B 0.393 0.419 0.893
B2 B 0.485 0.918 0.160
B3 B 0.892 0.413 0.406
B4 B 0.999 0.937 0.677
O1 O 0.031 0.807 0.789
O2 O 0.112 0.339 0.385
O3 O 0.154 0.965 0.561
O4 O 0.236 0.372 0.012
O5 O 0.289 0.029 0.183
____________
Colbert, of course, is a comedian – but more serious outlets were similarly dismissive of Schnatter’s remarks. The LA Times’ Tiffany Hsu reported: “Get ready to pay more for your Papa John’s pizza if “Obamacare” goes into full effect … a whopping 15 to 20 cents more.” Paul Whitefield of the LA Times dismissed Schnatter’s concerns in a vicious opinion piece, opining: “Especially considering that in exchange for that 15 to 20 cents extra, millions more Americans will have healthcare, meaning that perhaps they’ll be healthy enough to order one of those artery-clogging hunks of cheese, meat and dough once in a while.” The Boston Globe piled on: “Schnatter, a fundraiser for Mitt Romney, may be accurate in explaining how some fast-food chains will cover the costs of new provisions in the law — by slightly raising prices. But he is wrong to complain.”
The basic point of Schnatter’s remarks is indisputable: Companies will take on extra costs because of Obamacare, and they will find ways to pass on those extra costs to consumers in order to protect their shareholders. It is one thing to argue that companies should pay those costs – but to say “it is wrong to complain” displays basic economic ignorance.
Not that economic ignorance is surprising, where the media is concerned.
The derision of Schnatter isn’t surprising. He’s a Romney supporter and the Media is all-hands-on-deck to save Obama from defeat in November. But even those previously beloved of the left have been pilloried for heresy against ObamaCare.
In 2009, John Mackey, CEO of Whole Foods, that temple of liberal food sanctimony, suggested in print that there were market-based alternatives to socialized medicine. For his trouble, thousands of presumably loyal Whole Foods customers joined a boycott of the store, hyped by The Washington Post. The boycott was short-lived and ineffectual, however. Not even left-wing ideological purity can withstand the temptation of paying top dollar to be seen placing organic, sustainable, fair trade, artisanal Venezuelan beaver cheese in your reusable canvas grocery bag.
This intersection of ideology and commerce is making the media’s relationship with food difficult in general. Chick-fil-A was harshly slammed by the media for the founder’s stance on traditional marriage; the media took the opportunity to bash the quality of the food. ABC’s Jim Avila has declared war on the meat industry, attacking beef companies over “pink slime” and chicken companies over supposed superbugs. Mayor Bloomberg tried to ban sodas over 16 ounces from restaurants, delis, and movie theatres in New York City, winning the praise of many in the media.
But maybe one day even the geniuses in the press will realize that you can’t eat ideology.